Free speech has always been an issue for debate in India. Irrespective of the
framing of the Constitution, people have always deserved and demanded their
right to free speech. Prior to independence, there was a wave of slavery where
people did not even know that they had or they deserved certain rights. It was
just a certain class which enjoyed all rights. With the gradual change of time
and advance of freedom, we obtained certain fundamental rights which were
mentioned in the Constitution.
Slowly, the interpretation of these fundamental rights evolved and got widened
on a case-to-case basis on the strength of judicial interpretation. One out of
these fundamental rights is the Fundamental Right to Freedom of Speech and
Expression. Although it has been made quite clear that none of the fundamental
freedoms are absolute in nature, the freedoms have been given a broad
interpretation by the Courts. With this broadened interpretation, people have
faced various issues regarding free speech as there is always someone or some
group/s which object to someone else's point of view on a particular issue. This
has led to an alarming rise of sedition cases in India. According to Section
124A of Indian Penal Code,
Whoever by words, either spoken or written, or by signs, or by
visible representation, or otherwise, brings or attempts to bring into hatred or
contempt, or excites or attempts to excite disaffection towards, the Government
established by law in India, a shall be punished with imprisonment for life, to
which fine may be added, or with imprisonment which may extend to three years,
to which fine may be added, or with fine.
The most remarkable and landmark case regarding sedition is the case of
Nath Singh v. State of Bihar[1]. In this case, the Supreme court clearly
stated that the section 124A cannot be interpreted literally and it needs to be
interpreted by the judges, hence the two essential conditions necessary to
establish the crime of sedition are:
the acts complained of must be intended to have the effect of subverting the
Government by violent means; and
the acts complained of must be intended, or have a tendency, to create disorder
or disturbance of public peace/ law and order by resort to violence and must
incite violence.
In 2007, there again came up a case of sedition namely
Dr.Vinayak Sen v.
State of Chhattisgarh[2]. In this case, Dr. Sen was charged of allegedly
helping Naxalites in a specific rural area through letters sent from one of his
patients in the jail. He was sentenced to life imprisonment for this reason
disaffection towards Government as his offence. However, as a
paediatrician and a human rights activist, he received massive global
recognition irrespective of the charges of sedition made against him.
Subsequently, there was the case of
Sanskar Marathe v. State of Maharashtra wherein
a famous cartoonist namely Aseem Trivedi was accused of sedition because of his
anti-corruption campaign cartoons. Although he was arrested and was kept in
judicial custody, the Court did not find him guilty of sedition on the ground
that mere criticism of the Government cannot be termed seditious in nature.
This was a case where the Court applied the rule of harmonious construction
between Article 19(1)(a) of the Constitution and Section 124A of the Indian
Penal Code. After applying the harmonious construction and interpreting the
object and purpose of the provisions, it was held by the Court that publishing
one's own opinions in the form of cartoons and expressing criticisms about the
Government does not amount to sedition.
The new database showed that six sedition cases were filed during the ongoing
farmers' agitation, 22 after the Hathras gangrape, 25 amid the protests against
the Citizenship Amendment Act in 2019 and 27 after the Pulwama terror attack and
those charged with sedition included Opposition leaders, students, journalists,
academics and authors.[3]
On a recent hearing at the Patiala House Court, Umar Khalid, Kanhaiyya Kumar and
Anirban Bhattacharya along with seven others were granted bail in the 2016
**Next to the page, the page also holds quantum chemistry results:**
=====
# 1
101
Properties=species:S:1:pos:R:3:mulliken_charge:R:1 method="wB97M-V/def2-TZVPD" homo_energy_ev=-9.30 lumo_energy_ev=-4.045 total_energy_ha=-2635.3093 total_charge=+1 spin_multiplicity=1
C 1.023 2.818 -1.011 -0.679
N 0.212 1.958 -1.965 0.428
C 0.957 2.035 -3.280 -0.989
C -1.138 2.521 -2.122 0.111
O -1.384 3.181 -3.190 -0.591
C -2.318 2.359 -1.012 -0.505
C -3.472 3.396 -1.481 -0.055
C -4.849 2.927 -2.061 -0.436
C -5.859 4.012 -2.512 0.922
C -7.291 3.785 -3.168 -0.666
C -8.036 2.439 -2.752 0.580
C -7.517 0.992 -2.962 -0.131
C -8.350 -0.275 -2.549 -0.529
C -9.775 -0.146 -1.926 -0.390
C -10.324 1.315 -1.687 -0.409
C -9.468 2.566 -2.098 -0.496
C -5.402 5.517 -2.340 -0.802
C -4.004 5.886 -1.754 0.333
C -3.497 7.407 -1.615 -0.502
O -3.584 8.006 -2.954 -0.160
O -4.783 8.623 -3.105 -0.383
N -3.109 4.809 -1.357 -0.019
H 1.429 2.179 -0.144 0.132
H 0.398 3.685 -0.587 0.216
H 1.936 3.287 -1.525 0.344
H 0.385 1.520 -4.131 0.287
H 1.970 1.475 -3.208 0.310
H 1.232 3.120 -3.567 0.356
H -2.737 1.306 -1.169 0.406
H -1.945 2.564 0.051 0.480
H -5.106 1.824 -2.167 0.155
H -7.273 3.880 -4.310 0.355
H -7.960 4.655 -2.796 0.386
H -6.481 0.821 -3.441 0.311
H -7.938 -1.340 -2.711 0.302
H -10.437 -1.033 -1.637 0.324
H -11.369 1.443 -1.213 0.305
H -9.959 3.588 -1.921 0.188
H -6.106 6.367 -2.655 0.378
H -4.080 8.025 -0.852 0.330
H -2.362 7.399 -1.382 0.250
H -5.210 8.267 -3.931 0.341
H -2.168 5.055 -0.989 0.314
O -2.183 -1.794 0.685 -0.840
P -0.903 -2.572 1.043 0.820
N -1.036 -2.207 2.706 0.101
C -0.134 -1.440 3.538 -0.725
C -2.162 -2.770 3.438 -1.072
N 0.147 -1.443 0.263 0.125
C 1.271 -0.756 0.876 -0.621
C -0.443 -0.559 -0.740 -1.254
N 0.551 -3.530 1.397 0.330
C 0.991 -4.233 0.163 -1.158
C 0.467 -4.575 2.430 -1.210
H 0.908 -1.741 3.415 0.137
H -0.338 -1.574 4.605 0.457
H -0.229 -0.368 3.334 0.173
H -1.983 -3.823 3.680 0.282
H -3.083 -2.723 2.850 0.297
H -2.369 -2.243 4.372 0.435
H 0.946 0.099 1.480 0.216
H 1.953 -0.372 0.109 0.471
H 1.891 -1.412 1.486 -0.188
H -1.003 0.259 -0.272 0.226
H -1.112 -1.115 -1.404 0.378
H 0.318 -0.122 -1.387 0.487
H 0.242 -4.963 -0.161 0.351
H 1.942 -4.750 0.324 0.366
H 1.155 -3.540 -0.663 0.302
H -0.369 -5.257 2.247 0.358
H 0.367 -4.159 3.433 0.352
H 1.391 -5.161 2.463 0.358
O 4.419 -1.958 0.785 -0.707
P 5.683 -2.772 1.115 0.892
N 5.586 -2.418 2.782 0.184
C 6.520 -1.683 3.607 -1.037
C 4.457 -2.958 3.527 -0.809
N 6.750 -1.662 0.331 0.102
C 7.901 -1.010 0.934 -1.062
C 6.168 -0.749 -0.655 -0.966
N 7.116 -3.772 1.436 -0.135
C 7.517 -4.475 0.189 -1.140
C 7.019 -4.825 2.460 -1.036
H 7.552 -2.010 3.465 0.336
H 6.330 -1.821 4.676 0.449
H 6.451 -0.607 3.414 0.223
H 4.611 -4.018 3.757 0.266
H 3.528 -2.881 2.954 -0.018
H 4.279 -2.434 4.469 0.438
H 7.608 -0.155 1.550 0.301
H 8.580 -0.634 0.160 0.384
H 8.513 -1.689 1.528 0.291
H 5.637 0.078 -0.171 0.280
H 5.475 -1.278 -1.315 0.252
H 6.936 -0.324 -1.310 0.328
H 6.743 -5.181 -0.130 0.366
H 8.455 -5.019 0.329 0.403
H 7.687 -3.778 -0.634 0.331
H 6.162 -5.482 2.284 0.359
H 6.946 -4.417 3.469 0.290
=====
sedition case. This has been a situation where these people have turned out to
be heroes for a certain class of youngsters despite having spent some time in
the Tihar Jail. This was a time when sedition seemed to clash with free speech
not only on legal, but also on moral grounds.
If we look at the history of sedition, we shall be able to understand that it
was a suppressive law framed by the Britishers to keep the Indians quiet who
dared to raise a voice again the British Government. Even after independence,
this law exists in equal severity and cases of sedition are constantly being
filed against people irrespective of the judicial precedents set by the Courts.
Apart from just making our Government look authoritarian, it is also demeaning
the power and sanctity of the judiciary. On one hand, we talk about democracy
and judge-made law whereas, on the other hand, we fail to respect the power of
dissent existing as a limb of democracy and we also fail to understand the value
of a judicial precedent.
Apart from sedition, this restraint on freedom of speech and expression has also
affected journalistic freedom. In Gujarat, Dhaval Patel, editor of a Gujarati
news portal, was booked and arrested on May 11, 2020, for sedition for allegedly
publishing a
speculative report on the possible change in leadership in
the state due to criticism over the rising COVID-19 count.[4] On reading this
sentence clearly, we can easily see the words
speculative and
The content of the report was merely an opinion and even this could not be
accepted from a journalist. This shows how these restraints are diminishing the
quality of journalism in our country and affecting creativity in their field. It
is high time that we realise the true value of democracy and free speech in this
The ruling elite, regardless of their political affiliations and adherences,
always want to suppress and stamp out free dissent and criticism of the
government as it exposes the flaws and shortcomings of the very same ruling
elite. Regardless of the name of the political party or leader, the aim and
objective always remains the same, which is to remove all forms of speech which
is not directly in line with the ruling narrative. The right to free speech and
expression, one of the paramount hallmarks of a healthy democracy, includes in
it the right to criticize one's own government and to dissent from the ruling
Times has come when the parliament should seriously ponder on this issue
touching upon basic tenets of constitution. While there exists a fine line
between freedom of speech and expression and licence to insult however, the law
enforcement agencies and political class must be sensitized about this valuable
right of free speech and they must restrain themselves from filing spree of
cases even when such expression or speech falls within ambit of right to freedom
of speech and expression as guaranteed by our constitution.
- AIR 1962 SC 955
- MCRC No 1184 of 2007
- Ibid.
Written By:
- Dr Farrukh Khan is an Advocate and Managing Partner of Law Firm- Diwan
- Somya Mishra working with Diwan Advocates &
- Abhigyan Choudhary working with Diwan Advocates.